== Wanted ==
It remains to duplicate the whole of the entries below without altering anything.
== Given ==
+++
Entry 1:
Entry from Materials Project: an optimized crystal structure of CaSi18O38 (GGA-PBE).

Cell lengths 13.183, 13.183, 15.159 Å; angles 90.00, 90.00, 120.00 degrees
Fractional positions:
O  0.667  0.333  0.569
O  0.904  0.096  0.375
O  0.542  0.458  0.250
O  0.321  0.349  0.662
O  0.736  0.000  0.000
O  0.028  0.349  0.838
O  0.085  0.542  0.750
O  0.876  0.752  0.865
O  0.752  0.876  0.365
O  0.904  0.096  0.125
O  0.321  0.972  0.838
O  0.248  0.124  0.635
O  0.651  0.972  0.662
O  0.736  0.000  0.500
O  0.972  0.321  0.338
O  0.191  0.096  0.375
O  0.096  0.904  0.875
O  0.349  0.321  0.338
O  0.904  0.809  0.375
O  0.124  0.876  0.365
O  0.876  0.124  0.865
O  0.915  0.458  0.250
O  0.542  0.085  0.250
O  0.264  0.264  0.500
O  0.321  0.349  0.838
O  0.679  0.651  0.338
O  0.809  0.904  0.875
O  0.096  0.904  0.625
O  0.230  0.770  0.750
O  0.809  0.904  0.625
O  0.458  0.542  0.750
O  0.000  0.264  0.500
O  0.349  0.028  0.162
O  0.333  0.667  0.431
O  0.264  0.000  0.500
O  0.770  0.541  0.250
O  0.876  0.752  0.635
O  0.651  0.972  0.838
O  0.124  0.248  0.135
O  0.349  0.028  0.338
O  0.972  0.651  0.162
O  0.541  0.770  0.750
O  0.248  0.124  0.865
O  0.321  0.972  0.662
O  0.000  0.736  0.500
O  0.096  0.191  0.625
O  0.028  0.679  0.838
O  0.736  0.736  0.500
O  0.651  0.679  0.662
O  0.333  0.667  0.069
O  0.679  0.028  0.338
O  0.264  0.000  0.000
O  0.651  0.679  0.838
O  0.028  0.679  0.662
O  0.124  0.248  0.365
O  0.904  0.809  0.125
O  0.679  0.651  0.162
O  0.349  0.321  0.162
O  0.679  0.028  0.162
O  0.264  0.264  0.000
O  0.752  0.876  0.135
O  0.000  0.264  0.000
O  0.876  0.124  0.635
O  0.972  0.651  0.338
O  0.459  0.230  0.250
O  0.096  0.191  0.875
O  0.736  0.736  0.000
O  0.770  0.230  0.250
O  0.667  0.333  0.931
O  0.028  0.349  0.662
O  0.458  0.915  0.750
O  0.191  0.096  0.125
O  0.000  0.736  0.000
O  0.972  0.321  0.162
O  0.230  0.459  0.750
O  0.124  0.876  0.135
Si  0.907  0.332  0.250
Si  0.000  0.764  0.604
Si  0.000  0.236  0.104
Si  0.093  0.426  0.750
Si  0.000  0.236  0.896
Si  0.000  0.764  0.396
Si  0.764  0.764  0.896
Si  0.236  0.000  0.604
Si  0.236  0.236  0.396
Si  0.236  0.236  0.604
Si  0.668  0.574  0.250
Si  0.000  0.764  0.104
Si  0.764  0.764  0.604
Si  0.764  0.000  0.396
Si  0.332  0.907  0.750
Si  0.236  0.000  0.396
Si  0.236  0.236  0.104
Si  0.093  0.668  0.750
Si  0.332  0.426  0.750
Si  0.574  0.668  0.750
Si  0.764  0.764  0.104
Si  0.236  0.000  0.104
Si  0.574  0.907  0.750
Si  0.668  0.093  0.250
Si  0.907  0.574  0.250
Si  0.764  0.000  0.104
Si  0.000  0.764  0.896
Si  0.236  0.236  0.896
Si  0.236  0.000  0.896
Si  0.426  0.093  0.250
Si  0.000  0.236  0.604
Si  0.764  0.000  0.604
Si  0.426  0.332  0.250
Si  0.000  0.236  0.396
Si  0.764  0.764  0.396
Si  0.764  0.000  0.896
Ca  0.000  0.000  0.750
Ca  0.000  0.000  0.250
+++
== Here it is ==
Entry 1:
Entry from Materials Project: an optimized crystal structure of CaSi18O38 (GGA-PBE).

Cell lengths 13.183, 13.183, 15.159 Å; angles 90.00, 90.00, 120.00 degrees
Fractional positions:
O  0.667  0.333  0.569
O  0.904  0.096  0.375
O  0.542  0.458  0.250
O  0.321  0.349  0.662
O  0.736  0.000  0.000
O  0.028  0.349  0.838
O  0.085  0.542  0.750
O  0.876  0.752  0.865
O  0.752  0.876  0.365
O  0.904  0.096  0.125
O  0.321  0.972  0.838
O  0.248  0.124  0.635
O  0.651  0.972  0.662
O  0.736  0.000  0.500
O  0.972  0.321  0.338
O  0.191  0.096  0.375
O  0.096  0.904  0.875
O  0.349  0.321  0.338
O  0.904  0.809  0.375
O  0.124  0.876  0.365
O  0.876  0.124  0.865
O  0.915  0.458  0.250
O  0.542  0.085  0.250
O  0.264  0.264  0.500
O  0.321  0.349  0.838
O  0.679  0.651  0.338
O  0.809  0.904  0.875
O  0.096  0.904  0.625
O  0.230  0.770  0.750
O  0.809  0.904  0.625
O  0.458  0.542  0.750
O  0.000  0.264  0.500
O  0.349  0.028  0.162
O  0.333  0.667  0.431
O  0.264  0.000  0.500
O  0.770  0.541  0.250
O  0.876  0.752  0.635
O  0.651  0.972  0.838
O  0.124  0.248  0.135
O  0.349  0.028  0.338
O  0.972  0.651  0.162
O  0.541  0.770  0.750
O  0.248  0.124  0.865
O  0.321  0.972  0.662
O  0.000  0.736  0.500
O  0.096  0.191  0.625
O  0.028  0.679  0.838
O  0.736  0.736  0.500
O  0.651  0.679  0.662
O  0.333  0.667  0.069
O  0.679  0.028  0.338
O  0.264  0.000  0.000
O  0.651  0.679  0.838
O  0.028  0.679  0.662
O  0.124  0.248  0.365
O  0.904  0.809  0.125
O  0.679  0.651  0.162
O  0.349  0.321  0.162
O  0.679  0.028  0.162
O  0.264  0.264  0.000
O  0.752  0.876  0.135
O  0.000  0.264  0.000
O  0.876  0.124  0.635
O  0.972  0.651  0.338
O  0.459  0.230  0.250
O  0.096  0.191  0.875
O  0.736  0.736  0.000
O  0.770  0.230  0.250
O  0.667  0.333  0.931
O  0.028  0.349  0.662
O  0.458  0.915  0.750
O  0.191  0.096  0.125
O  0.000  0.736  0.000
O  0.972  0.321  0.162
O  0.230  0.459  0.750
O  0.124  0.876  0.135
Si  0.907  0.332  0.250
Si  0.000  0.764  0.604
Si  0.000  0.236  0.104
Si  0.093  0.426  0.750
Si  0.000  0.236  0.896
Si  0.000  0.764  0.396
Si  0.764  0.764  0.896
Si  0.236  0.000  0.604
Si  0.236  0.236  0.396
Si  0.236  0.236  0.604
Si  0.668  0.574  0.250
Si  0.000  0.764  0.104
Si  0.764  0.764  0.604
Si  0.764  0.000  0.396
Si  0.332  0.907  0.750
Si  0.236  0.000  0.396
Si  0.236  0.236  0.104
Si  0.093  0.668  0.750
Si  0.332  0.426  0.750
Si  0.574  0.668  0.750
Si  0.764  0.764  0.104
Si  0.236  0.000  0.104
Si  0.574  0.907  0.750
Si  0.668  0.093  0.250
Si  0.907  0.574  0.250
Si  0.764  0.000  0.104
Si  0.000  0.764  0.896
Si  0.236  0.236  0.896
Si  0.236  0.000  0.896
Si  0.426  0.093  0.250
Si  0.000  0.236  0.604
Si  0.764  0.000  0.604
Si  0.426  0.332  0.250
Si  0.000  0.236  0.396
Si  0.764  0.764  0.396
Si  0.764  0.000  0.896
Ca  0.000  0.000  0.750
Ca  0.000  0.000  0.250